_Request_
Could you filter the material further down: keep the lines with the word "Fe"?

_Contents_
........
Record 1
Computed powder XRD pattern of FeAg3 for CuKα, from the GGA-PBE geometry in the Materials Project.

Crystal structure
```
FeAg3
1.0
0.000 3.234 3.234
3.234 0.000 3.234
3.234 3.234 0.000
Fe Ag
1 3
direct
0.000 0.000 0.000
0.250 0.250 0.250
0.500 0.500 0.500
0.750 0.750 0.750
```

Top 6 peaks for 10° ≤ 2θ ≤ 90°, low angle first:
2theta	I/Imax
23.83	4
27.58	2
39.41	100
56.95	16
71.46	31
84.80	10

=====

Record 2
Computed powder XRD pattern of MgFeAgS2 for CuKα, from the GGA-PBE geometry in the Materials Project.

Crystal structure
```
MgFeAgS2
1.0
2.898 -1.667 0.000
2.898 1.667 0.000
-1.961 0.000 9.304
Mg Fe Ag S
1 1 1 2
direct
0.000 0.000 0.000
0.891 0.891 0.675
0.093 0.093 0.283
0.184 0.184 0.557
0.611 0.611 0.831
```

Top 6 peaks for 10° ≤ 2θ ≤ 90°, low angle first:
2theta	I/Imax
19.08	49
31.09	100
31.59	57
33.58	47
45.20	53
47.68	41

=====

Record 3
Computed powder XRD pattern of MgFeAgS2 for CuKα, from the GGA-PBE geometry in the Materials Project.

Crystal structure
```
MgFeAgS2
1.0
1.678 0.969 8.891
-1.678 0.969 8.891
0.000 -1.937 8.891
Mg Fe Ag S
1 1 1 2
direct
0.000 0.000 0.000
0.550 0.550 0.550
0.746 0.746 0.746
0.271 0.271 0.271
0.842 0.842 0.842
```

Top 6 peaks for 10° ≤ 2θ ≤ 90°, low angle first:
2theta	I/Imax
19.97	47
30.96	60
33.64	100
46.20	38
48.92	42
54.71	51

=====

Record 4
Computed powder XRD pattern of MgFeAgS2 for CuKα, from the GGA-PBE geometry in the Materials Project.

Crystal structure
```
MgFeAgS2
1.0
2.936 -1.696 0.000
2.936 1.696 0.000
-1.987 0.000 8.489
Mg Fe Ag S
1 1 1 2
direct
0.000 0.000 0.000
0.121 0.121 0.360
0.249 0.249 0.748
0.398 0.398 0.193
0.830 0.830 0.483
```

Top 6 peaks for 10° ≤ 2θ ≤ 90°, low angle first:
2theta	I/Imax
10.42	30
20.93	30
30.65	88
39.43	100
41.81	35
54.08	52

=====

Record 5
Computed powder XRD pattern of MgFeAgS2 for CuKα, from the GGA-PBE geometry in the Materials Project.

Crystal structure
```
MgFeAgS2
1.0
1.702 0.983 8.411
-1.702 0.983 8.411
0.000 -1.966 8.411
Mg Fe Ag S
1 1 1 2
direct
0.000 0.000 0.000
0.457 0.457 0.457
0.584 0.584 0.584
0.164 0.164 0.164
0.733 0.733 0.733
```

Top 6 peaks for 10° ≤ 2θ ≤ 90°, low angle first:
2theta	I/Imax
10.52	32
30.53	52
31.15	57
35.26	34
39.49	100
53.86	43

=====

Record 6
Computed powder XRD pattern of FeAgSbS4N6 for CuKα, from the GGA-PBE geometry in the Materials Project.

Crystal structure
```
FeAgSbS4N6
1.0
7.297 0.000 0.000
0.000 7.297 0.000
0.000 0.000 8.629
Fe Ag Sb S N
2 2 2 8 12
direct
0.000 0.500 0.250
0.500 0.000 0.750
0.000 0.000 0.000
0.500 0.500 0.500
0.000 0.000 0.500
0.500 0.500 0.000
0.095 0.207 0.754
0.207 0.905 0.246
0.293 0.405 0.746
0.405 0.707 0.254
0.595 0.293 0.254
0.707 0.595 0.746
0.793 0.095 0.246
0.905 0.793 0.754
0.054 0.556 0.491
0.056 0.554 0.009
0.162 0.338 0.250
0.338 0.838 0.750
0.444 0.054 0.509
0.446 0.056 0.991
0.554 0.944 0.991
0.556 0.946 0.509
0.662 0.162 0.750
0.838 0.662 0.250
0.944 0.446 0.009
0.946 0.444 0.491
```

Top 6 peaks for 10° ≤ 2θ ≤ 90°, low angle first:
2theta	I/Imax
17.19	53
24.40	100
26.94	89
32.13	80
41.87	44
44.53	82

=====

Simulated X-ray powder pattern of V2NiSbO8 for Cu Kα X-rays, from a crystal structure in Alexandria, relaxed with GGA+U.
Neutral-atom scattering factors, no anomalous dispersion.

```
data_V2NiSbO8
_symmetry_space_group_name_H-M 'P -3 m 1'
_symmetry_Int_Tables_number 164
_symmetry_space_group_name_Hall '-P 3 2"'
_cell_length_a 5.7420
_cell_length_b 5.7420
_cell_length_c 5.7610
_cell_angle_alpha 90.00
_cell_angle_beta 90.00
_cell_angle_gamma 120.00
loop_
_atom_site_label
_atom_site_type_symbol
_atom_site_fract_x
_atom_site_fract_y
_atom_site_fract_z
V1 V 0.3333 0.6667 0.1755
Ni1 Ni 0.0000 0.0000 0.0000
Sb1 Sb 0.0000 0.0000 0.5000
O1 O 0.1564 0.3128 0.2542
O2 O 0.3333 0.6667 0.8945
```

Most intense lines, 5 to 70 degrees two-theta, in order of rising 2θ:
(hkl)	2θ (°)	I (rel.)
1 0 0	17.84	96.6
1 0 1	23.63	78.9
1 1 0	31.15	100.0
0 1 2	36.04	63.7
1 1 2	44.56	23.8
2 0 2	48.37	56.6
2 1 1	51.12	19.1
3 0 0	55.43	17.7
1 2 2	58.65	34.4
........

_Result_
Fe Ag
Mg Fe Ag S
Mg Fe Ag S
Mg Fe Ag S
Mg Fe Ag S
Fe Ag Sb S N